Complete Quotes
Text Quotes
Analysis, if it is really carried out with a complete concentration of his powers, forms and completes a chess player (Complete Quotes)
Salvation does not lie where strong thrones are defended by swords, where the smoke of censers ascend to heaven or where thousands of strong men pace the rich fields of harvest. The revolution which is about to break will be sterile if it is not complete (Complete Quotes)
There is no complete life. There are only fragments. We are born to have nothing, to have it pour through our hands. And yet, this pouring, this flood of encounters, struggles, dreams (Complete Quotes)
Nothing beats novel writing because it’s complete expression of you. You just control everything. Not even a movie director has that level of control (Complete Quotes)
The way we move within time is a kind of dance. We are always keeping time within one rhythm or another. Music, of course, is exemplary. One reason we love music so much is that it’s so complete and the notes harmonize with one another in time to make a beautiful, ideal statement; not like our daily life where the rhythms are more subtle or hard to find or are constantly being interrupted or changed in ways that aren’t so easy to handle (Complete Quotes)
Everything, if you could only see it clearly enough, like this, is beautiful and complete. Everything has its own perfection (Complete Quotes)
Never not dare to hang yourself. That’s the only way you grow in your profession. You must continually attempt things that you think are beyond you, or you get into a complete rut (Complete Quotes)
Although the optimist may be a little giddy when foreseeing the future, telling himself that it will all work out in the end when that isn’t always the case, his attitude is more fruitful since, in the hope of undertaking a hundred projects, followed up by diligent action, the optimist will end up completing fifty. Conversely, in limiting himself to undertake a mere ten, the pessimist might complete five at best and often fewer, since he’ll devote little energy to a task he feels to be doomed from the start (Complete Quotes)
I am convinced that any photographic attempt to show the complete man is nonsense. We can only show, as best we can, what the outer man reveals. The inner man is seldom revealed to anyone, sometimes not even the man himself (Complete Quotes)
One of the best ways to know you’re completely wrong, is to behave as if you’re complete right (Complete Quotes)
One might as well attempt to describe the smoothness of the wind as to paint a clear picture of his complete swing (Complete Quotes)
Today we may face some boring task or idle conversation that feels like a complete waste of time. Perhaps next week or next year we’ll understand that nothing is wasted, that in the economy of our universe even a weed is simply a flower whose use has yet to be discovered (Complete Quotes)
The task is not done. The journey is not complete. We can and we must do more (Complete Quotes)
This is an awesome time to be a knowledge seeker, no better time, but it’s also the best time in history to be a complete idiot (Complete Quotes)
We’re left with so little to go on. Only the present is full enough to seem complete, and even that is an optical illusion. The moment is bleeding off the page. We live on the precipice of our perceptions. At the edge of every living instant, the world shears away like a cliff of ice into the sea of what is forgotten (Complete Quotes)
I think I matured quite early, but what that does mean is I have moments of complete immaturity. When I come home, I don’t want to be an actor. I just want to be a kid. I barely even know what money is (Complete Quotes)
I am a complete mother’s boy. I try to do everything with honour, respect and grace because the last thing I would want to do is hurt her (Complete Quotes)
The universe is a complete unique entity. Everything and everyone is bound together with some invisible strings. Do not break anyone’s heart; do not look down on weaker than you. One’s sorrow at the other side of the world can make the entire world suffer; one’s happiness can make the entire world smile (Complete Quotes)
**The entry is interrupted by records of crystals:**
Structure and calculated X-ray powder pattern of Ac4Al3CoO12 (DFT lattice parameters and positions (GGA+U); CuKα).
Lines closer than 0.1° are merged.

Structure:
a b c (Å): 7.7692 7.7692 7.7692
angles (deg): 90.00 90.00 90.00
Space group Im-3m (No. 229)
One atom of each set of equivalent atoms:
Ac (0.2500, 0.2500, 0.2500) x8
Al (0.0000, 0.0000, 0.5000) x6
Co (0.0000, 0.0000, 0.0000) x2
O (0.0000, 0.0000, 0.2516) x12
O (0.0000, 0.2500, 0.5000) x12

Most intense lines, 10° ≤ 2θ ≤ 90°, by angle:
Position (°2θ)  intensity  (hkl)
16.1  1  1 1 0
22.9  57  2 0 0
32.6  100  2 2 0
40.2  36  2 2 2
46.8  29  4 0 0
52.7  28  4 2 0
58.2  40  4 2 2
68.3  18  4 4 0
73.1  14  6 0 0
77.7  18  6 2 0
82.3  13  6 2 2
86.9  6  4 4 4

----------

For Li6MgAl12, a structure optimized by DFT (GGA-PBE) gives the calculated powder diffractogram in this record (Cu Ka).
Lines closer than 0.1° are merged.

Cell and atoms:
a b c (Å): 11.7362 11.7362 8.9009
angles (deg): 90.00 90.00 120.00
Space group R-3m (No. 166, hexagonal axes)
Inequivalent atoms, fractional coordinates:
Li 0.0681 0.5340 0.2320 [18 per cell]
Mg 0.0000 0.0000 0.0000 [3 per cell]
Al 0.0000 0.3867 0.5000 [18 per cell]
Al 0.0809 0.1619 0.2748 [18 per cell]

Most intense lines, 2θ from 5° to 70°, in order of rising 2θ:
d (Å)  intensity
4.077  512
2.687  1000
2.648  428
2.256  255
2.232  366
2.065  267
2.038  172
1.849  359

----------

[1]
Diffraction record for Ho5TePd2. The powder XRD pattern is calculated, not measured: it uses a PBE-relaxed structure and Cu Kα (λ = 1.5418 Å).

Largest 10 diffraction maxima, by angle, 10° ≤ 2θ ≤ 80°:
- 2θ 31.23, I = 20, (1 1 4)
- 2θ 32.57, I = 100, (2 1 3)
- 2θ 35.32, I = 22, (2 0 4)
- 2θ 36.46, I = 53, (3 1 0)
- 2θ 42.52, I = 13, (2 1 5)
- 2θ 52.55, I = 17, (4 2 0)
- 2θ 54.71, I = 13, (0 0 8)
- 2θ 57.19, I = 12, (3 3 4)
- 2θ 67.58, I = 13, (3 1 8)
- 2θ 68.10, I = 21, (4 4 0)

Cell and atoms:
a b c (Å): 7.7922 7.7922 13.4127
angles (deg): 90.00 90.00 90.00
Space group I4/mcm (No. 140)
Unique sites:
Ho (0.0000, 0.0000, 0.0000) x4
Ho (0.1544, 0.3456, 0.1413) x16
Te (0.0000, 0.0000, 0.2500) x4
Pd (0.1377, 0.3623, 0.5000) x8


[2]
Diffraction record for Pm4NdRh3. The powder XRD pattern is calculated, not measured: it uses a PBE-relaxed structure and Cu Kα (λ = 1.5418 Å).

Largest 10 diffraction maxima, by angle, 10° ≤ 2θ ≤ 80°:
- 2θ 28.49, I = 28, (0 0 2)
- 2θ 31.92, I = 71, (3 2 1)
- 2θ 32.68, I = 51, (2 0 2)
- 2θ 35.52, I = 54, (4 2 0)
- 2θ 35.75, I = 100, (4 1 1)
- 2θ 36.44, I = 41, (2 2 2)
- 2θ 43.11, I = 19, (4 0 2)
- 2θ 55.30, I = 28, (4 1 3)
- 2θ 57.67, I = 18, (5 5 0)
- 2θ 66.73, I = 18, (6 4 2)

Cell and atoms:
a b c (Å): 11.3022 11.3022 6.2656
angles (deg): 90.00 90.00 90.00
Space group I4/mcm (No. 140)
Unique sites:
Pm (0.0845, 0.2086, 0.0000) x16
Nd (0.0000, 0.5000, 0.2500) x4
Rh (0.0000, 0.0000, 0.2500) x4
Rh (0.1574, 0.3426, 0.5000) x8


[3]
A man’s interest in a single bluebird is worth more than a complete but dry list of the fauna and flora of a town (Complete Quotes)
Faith is the acknowledgment of the entire absence of all goodness in us, and the recognition of the cross as the substitute for all the want on our part. Faith saves, because it owns the complete salvation of another, and not because it contributes anything to that salvation (Complete Quotes)
Christianity is not a sprint but an endurance run. Therefore it is not how we start the race that counts, but how we complete it. How we finish is determined by the choices we make, and those are often formed by patterns we develop along the way (Complete Quotes)
Unbuttered toast is a substance half complete, and to be forced to eat it in that state is necessarily to feel deprived (Complete Quotes)
How do we professionally manage content? We don’t. We shouldn’t manage content in the same way that we shouldn’t manage technology. Content and technology are merely a means to an end. What is the end? The end is the task the customer wishes to complete. That is what we should manage (Complete Quotes)
All the mega corporations on the planet make their obscene profits off the labor and suffering of others, with complete disregard for the effects on the workers, environment, and future generations. We have a straightforward proposal: if they want public money, we want public control. It’s that simple (Complete Quotes)
Authors must spend months, years making fantasy believable in a single work while reality runs rampant and complete chaos elsewhere (Complete Quotes)
To have your heart in pieces while every other aspect of your life couldn’t go better is a traumatic experience. In appearance, life is fine. But as you put your day in focus, everything turns grey. What happened made me realise that complete, absolute happiness doesn’t exist (Complete Quotes)
In order to educate man to a new longing, everyday familiar objects must be shown to him with totally unexpected perspectives and in unexpected situations. New objects should be depicted from different sides in order to provide a complete impression of the object (Complete Quotes)
Write first. Worry about getting an agent or publisher later. Write it first. Prove you can do it and then others will listen. Tons of people talk about books they want to write. Far fewer are those who actually complete that vision. Don’t be a talker (Complete Quotes)
Two incomplete people can’t complete one another. Complete yourself and then let someone else complement you (Complete Quotes)
Know that you have complete control over what you put in your mouth. No one ever ate anything by accident (Complete Quotes)